File =
- - -
(1)
A plane-wave DFT calculation with PBE-GGA was carried out for crystalline MnCo2Pb2 at its relaxed geometry.

Computed properties:
Relative energy among the computed polymorphs: 0.000 eV per atom
Crystal system: tetragonal
Fermi-level density of states: 8.90 states/eV/cell
Energy of formation from the pure elements: 0.6395 eV per atom

abc: 7.5114 7.5114 3.1380
angles: 90.00 90.00 90.00
With the nearest neighbours (Å) after each atom.
Atoms (fractional coordinates):
Co 0.1355 0.6355 0.5000  6 Pb 2.68-2.73, 1 Co 2.88
Co 0.3645 0.1355 0.5000  6 Pb 2.68-2.73, 1 Co 2.88
Co 0.8645 0.3645 0.5000  6 Pb 2.68-2.73, 1 Co 2.88
Co 0.6355 0.8645 0.5000  6 Pb 2.68-2.73, 1 Co 2.88
Pb 0.3395 0.8395 0.0000  6 Co 2.68-2.73, 2 Mn 2.82
Pb 0.8395 0.6605 0.0000  6 Co 2.68-2.73, 2 Mn 2.82
Pb 0.1605 0.3395 0.0000  6 Co 2.68-2.73, 2 Mn 2.82
Pb 0.6605 0.1605 0.0000  6 Co 2.68-2.73, 2 Mn 2.82
Mn 0.5000 0.5000 0.0000  4 Pb 2.82, 2 Mn 3.14
Mn 0.0000 0.0000 0.0000  4 Pb 2.82, 2 Mn 3.14

(2)
A plane-wave DFT calculation with PBE-GGA was carried out for crystalline Be2Se at its relaxed geometry.

Computed properties:
Formation energy (no corrections): 0.352 eV per atom
Relative energy among the computed polymorphs: 0.642 eV per atom
Crystal system: monoclinic
Fermi-level density of states: 1.75 states/eV/cell

abc: 6.4262 6.4262 7.0248
angles: 57.10 57.10 22.09
With the nearest neighbours (Å) after each atom.
Atoms (fractional coordinates):
Se 0.9886 0.9886 0.7441  3 Be 2.32-2.42, 2 Se 2.46
Se 0.0114 0.0114 0.2559  3 Be 2.32-2.42, 2 Se 2.46
Be 0.6874 0.6874 0.9451  6 Be 2.30-2.46, 2 Se 2.42
Be 0.8066 0.8066 0.3371  6 Be 2.28-2.46, 1 Se 2.32
Be 0.1934 0.1934 0.6629  6 Be 2.28-2.46, 1 Se 2.32
Be 0.3126 0.3126 0.0549  6 Be 2.30-2.46, 2 Se 2.42

(3)
A plane-wave DFT calculation with PBE-GGA was carried out for crystalline NiSbHPt2 at its relaxed geometry.

Computed properties:
Relative energy among the computed polymorphs: 0.000 eV per atom
Crystal system: tetragonal
Fermi-level density of states: 5.88 states/eV/cell

abc: 4.0229 4.0229 4.1647
angles: 90.00 90.00 90.00
With the nearest neighbours (Å) after each atom.
Atoms (fractional coordinates):
Pt 0.5000 0.0000 0.0000  2 H 2.01
Pt 0.0000 0.5000 0.0000  2 H 2.01
Ni 0.0000 0.0000 0.5000  2 H 2.08
Sb 0.5000 0.5000 0.5000  4 Ni 2.84, 8 Pt 2.90
H 0.0000 0.0000 0.0000  4 Pt 2.01, 2 Ni 2.08

(4)
A plane-wave DFT calculation with PBE-GGA was carried out for crystalline Ca2RhO3 at its relaxed geometry.

Computed properties:
Formation energy (no corrections): -1.947 eV per atom
Crystal system: monoclinic
Fermi-level density of states: 4.81 states/eV/cell

abc: 5.8931 6.0741 6.0741
angles: 72.58 71.88 71.88
With the nearest neighbours (Å) after each atom.
Atoms (fractional coordinates):
Ca 0.6091 0.2202 0.4911  3 O 2.18-2.34
Ca 0.3909 0.7798 0.5089  3 O 2.18-2.34
Ca 0.8909 0.5089 0.7798  3 O 2.18-2.34
Ca 0.1091 0.4911 0.2202  3 O 2.18-2.34
O 0.2500 0.4860 0.5140  4 Ca 2.18-2.22
O 0.5946 0.8641 0.8196  2 Rh 2.03-2.09
O 0.4054 0.1359 0.1804  2 Rh 2.03-2.09
O 0.0946 0.8196 0.8641  2 Rh 2.03-2.09
O 0.9054 0.1804 0.1359  2 Rh 2.03-2.09
O 0.7500 0.5140 0.4860  4 Ca 2.18-2.22
Rh 0.2500 0.9964 0.0036  4 O 2.03-2.09
Rh 0.7500 0.0036 0.9964  4 O 2.03-2.09

(5)
A plane-wave DFT calculation with PBE-GGA was carried out for crystalline Ta7AsSe12 at its relaxed geometry.

Computed properties:
Formation energy (no corrections): -0.572 eV per atom
Crystal system: trigonal
Fermi-level density of states: 9.34 states/eV/cell

abc: 8.2542 8.2542 8.2542
angles: 108.38 108.38 108.38
With the nearest neighbours (Å) after each atom.
Atoms (fractional coordinates):
Se 0.1504 0.3795 0.4560  3 Ta 2.60-2.74
Se 0.9090 0.3078 0.7487  3 Ta 2.57-2.61
Se 0.3078 0.7487 0.9090  3 Ta 2.57-2.61
Se 0.2513 0.0910 0.6922  3 Ta 2.57-2.61
Se 0.7487 0.9090 0.3078  3 Ta 2.57-2.61
Se 0.3795 0.4560 0.1504  3 Ta 2.60-2.74
Se 0.4560 0.1504 0.3795  3 Ta 2.60-2.74
Se 0.8496 0.6205 0.5440  3 Ta 2.60-2.74
Se 0.5440 0.8496 0.6205  3 Ta 2.60-2.74
- - -

Activity =
The reader should start at the top of the contents further up and print each line, ending with the one that has "(4)".

Written answer =
(1)
A plane-wave DFT calculation with PBE-GGA was carried out for crystalline MnCo2Pb2 at its relaxed geometry.

Computed properties:
Relative energy among the computed polymorphs: 0.000 eV per atom
Crystal system: tetragonal
Fermi-level density of states: 8.90 states/eV/cell
Energy of formation from the pure elements: 0.6395 eV per atom

abc: 7.5114 7.5114 3.1380
angles: 90.00 90.00 90.00
With the nearest neighbours (Å) after each atom.
Atoms (fractional coordinates):
Co 0.1355 0.6355 0.5000  6 Pb 2.68-2.73, 1 Co 2.88
Co 0.3645 0.1355 0.5000  6 Pb 2.68-2.73, 1 Co 2.88
Co 0.8645 0.3645 0.5000  6 Pb 2.68-2.73, 1 Co 2.88
Co 0.6355 0.8645 0.5000  6 Pb 2.68-2.73, 1 Co 2.88
Pb 0.3395 0.8395 0.0000  6 Co 2.68-2.73, 2 Mn 2.82
Pb 0.8395 0.6605 0.0000  6 Co 2.68-2.73, 2 Mn 2.82
Pb 0.1605 0.3395 0.0000  6 Co 2.68-2.73, 2 Mn 2.82
Pb 0.6605 0.1605 0.0000  6 Co 2.68-2.73, 2 Mn 2.82
Mn 0.5000 0.5000 0.0000  4 Pb 2.82, 2 Mn 3.14
Mn 0.0000 0.0000 0.0000  4 Pb 2.82, 2 Mn 3.14

(2)
A plane-wave DFT calculation with PBE-GGA was carried out for crystalline Be2Se at its relaxed geometry.

Computed properties:
Formation energy (no corrections): 0.352 eV per atom
Relative energy among the computed polymorphs: 0.642 eV per atom
Crystal system: monoclinic
Fermi-level density of states: 1.75 states/eV/cell

abc: 6.4262 6.4262 7.0248
angles: 57.10 57.10 22.09
With the nearest neighbours (Å) after each atom.
Atoms (fractional coordinates):
Se 0.9886 0.9886 0.7441  3 Be 2.32-2.42, 2 Se 2.46
Se 0.0114 0.0114 0.2559  3 Be 2.32-2.42, 2 Se 2.46
Be 0.6874 0.6874 0.9451  6 Be 2.30-2.46, 2 Se 2.42
Be 0.8066 0.8066 0.3371  6 Be 2.28-2.46, 1 Se 2.32
Be 0.1934 0.1934 0.6629  6 Be 2.28-2.46, 1 Se 2.32
Be 0.3126 0.3126 0.0549  6 Be 2.30-2.46, 2 Se 2.42

(3)
A plane-wave DFT calculation with PBE-GGA was carried out for crystalline NiSbHPt2 at its relaxed geometry.

Computed properties:
Relative energy among the computed polymorphs: 0.000 eV per atom
Crystal system: tetragonal
Fermi-level density of states: 5.88 states/eV/cell

abc: 4.0229 4.0229 4.1647
angles: 90.00 90.00 90.00
With the nearest neighbours (Å) after each atom.
Atoms (fractional coordinates):
Pt 0.5000 0.0000 0.0000  2 H 2.01
Pt 0.0000 0.5000 0.0000  2 H 2.01
Ni 0.0000 0.0000 0.5000  2 H 2.08
Sb 0.5000 0.5000 0.5000  4 Ni 2.84, 8 Pt 2.90
H 0.0000 0.0000 0.0000  4 Pt 2.01, 2 Ni 2.08

(4)